
Future Projects Quotes
Here the article breaks off for records of molecules
'''
Entry 1:
A single C21H28N4O7 molecule at a distorted geometry. Source: OMol25; level of theory: wB97M-V/def2-TZVPD.

Properties
Gap between HOMO and LUMO = 0.3025 Ha
E_LUMO = 0.1323 eV
2S+1 = 1
HOMO = -8.098 eV

Geometry as XYZ:
```
60
Properties=species:S:1:pos:R:3:forces:R:3:nbo_charge:R:1
C -2.640589 -1.473832 -1.418735 0.087 -0.259 -0.106 -0.25
O -3.438892 -0.396363 -0.988338 0.046 0.588 0.217 -0.51
C -2.841418 0.755916 -0.582430 -0.100 -0.002 0.023 0.24
C -1.477171 0.901870 -0.406242 -0.030 0.096 0.032 -0.25
C -0.929052 2.096963 0.067917 -0.893 -0.067 -0.079 -0.10
C 0.499662 2.228952 0.224890 1.031 0.141 0.127 0.06
N 1.292267 1.282427 -0.087378 -0.741 -0.512 -0.258 -0.22
N 2.611544 1.464150 0.059782 0.626 1.137 0.490 -0.43
C 3.546070 0.544234 -0.270197 -0.374 -0.307 -0.110 0.57
O 3.358598 -0.568219 -0.714312 0.033 0.130 0.053 -0.58
C 4.950583 1.104998 -0.010987 0.192 0.045 -0.097 0.58
O 5.117838 2.223958 0.449932 -0.019 0.105 0.078 -0.64
N 5.909633 0.253974 -0.375655 -0.094 -0.450 -0.093 -0.58
C 7.315647 0.494843 -0.189369 0.219 -0.126 0.354 -0.25
C 7.928086 -0.573344 0.734603 -0.046 0.632 0.045 0.09
C 9.443418 -0.395814 0.890351 -0.188 -0.162 -0.056 -0.43
C 9.991451 -1.306196 -0.207181 -0.206 -0.090 0.009 -0.43
C 8.965045 -2.437359 -0.203357 0.357 -0.263 -0.071 -0.06
O 7.723733 -1.857750 0.162752 -0.252 0.066 -0.057 -0.54
C -1.777314 3.155908 0.383144 0.370 -0.264 -0.066 -0.19
C -3.136809 3.026496 0.190208 -0.291 -0.289 -0.150 -0.26
C -3.687812 1.850482 -0.306407 0.223 0.186 0.011 0.33
O -5.048484 1.849631 -0.442503 0.208 -0.106 0.233 -0.52
C -5.676142 1.076916 -1.448256 -0.172 -0.081 -0.500 -0.16
C -5.943421 -0.410836 -1.186997 0.029 0.313 0.035 0.69
O -5.918090 -1.188260 -2.123880 -0.030 0.001 -0.388 -0.65
N -6.255501 -0.803370 0.063211 -0.067 -0.224 0.258 -0.44
C -6.552996 0.027179 1.207963 -0.470 0.197 0.240 -0.25
C -8.007576 -0.219698 1.634159 0.290 0.238 0.029 -0.08
O -8.243297 -1.580028 1.908356 -0.055 -0.056 0.147 -0.52
C -7.966618 -2.378829 0.778412 0.269 -0.166 -0.169 -0.08
C -6.515508 -2.207109 0.324151 -0.271 -0.216 -0.091 -0.26
H -3.347654 -2.205318 -1.807359 0.090 0.006 0.007 0.22
H -2.072881 -1.906506 -0.589484 -0.004 0.041 -0.033 0.18
H -1.953908 -1.170982 -2.213615 -0.013 0.007 0.028 0.18
H -0.796362 0.094465 -0.616788 0.016 -0.163 -0.058 0.25
H 0.873407 3.184869 0.614225 0.026 -0.066 -0.022 0.16
H 2.981257 2.353423 0.421099 -0.090 -0.410 -0.167 0.40
H 5.623077 -0.668724 -0.682007 -0.124 0.143 0.004 0.44
H 7.420734 1.488729 0.251564 0.060 -0.089 -0.068 0.23
H 7.819065 0.466639 -1.161112 0.051 0.065 0.074 0.20
H 7.402785 -0.541893 1.697346 0.067 0.014 -0.111 0.19
H 9.763067 -0.752294 1.869614 0.011 0.048 0.026 0.21
H 9.745996 0.642201 0.776329 0.036 0.069 0.055 0.22
H 9.989752 -0.791309 -1.168174 0.038 -0.010 -0.035 0.20
H 10.997527 -1.662739 -0.001257 0.057 0.000 -0.042 0.22
H 9.234499 -3.203507 0.536730 -0.009 0.046 -0.103 0.17
H 8.844881 -2.917975 -1.177032 0.044 0.003 0.087 0.19
'''

There are 136 quotes

"In the future, I do plan to revisit this whole candy-making process, and I have at least a few projects that I think are going to be really interesting."
"I'm so excited for what we do with these next."
"If you think this looks cool, just wait till you see what's coming."
"Thank you so much, so here's to the games we've made and to the games we'll make tomorrow."
"Creepypastas will continue to serve as the inspiration for several more projects in the future, some good, some bad. Either way, at least we've got entertainment."
"I'm happy to be done, I'm so happy to be able to move on to do new things, new projects."
"Even if we don't get season two, I will be working on things that I hope you will enjoy."
"With fans eagerly anticipating his future projects."
"Spider-man is gonna be the perfect character to usher us into phase four." - Perry
"2020 has been a pretty tricky year for movies luckily the calendar is already filling up for the next few years and a whole heap of exciting projects are slated for release."
"We do have a lot of awesome things coming down the road."
"I think Jonah has a lot more music in him... let's see what else we get."
"Thank you so much to you guys for watching this video, like I said it's just the beginning so much more excitement coming this year."
"If there is something that comes up and it works, why not? I would love to work with him again."
"I have a five to ten year road map, let me tell you about it."
"There's so many more stories to tell, so many more experiences we want to deliver and share with the community."
"I think the next Smash Brothers might not even be held by Sakurai. I have a strong feeling he's working on something else."
"I think this is at least a clue suggesting that while they are working on other stuff God of War is also going to continue."
"Thank you all for watching me play My First visual novel. I hope to release more and even better ones in the future."
"Support the float plane if you'd like to see more stuff in the future."
"I'm excited about Starship, Neuralink, and Boring Company."
"I'm working on big things and I'm very excited to see them to fruition this year."
"I would be more excited to see Naughty Dog be like, 'We're doing something brand new and here's what it is.'"
"Now, with all of that being said, I have a lot more coming down the pipeline."
"My best creative accomplishment is the thing I'm working on next."
"Expanding metalworking capabilities: future projects in the pipeline."
"Tarantino is serious about his desire to make a Star Trek movie."
"I think we've got a lot of exciting things coming ahead here."
"Huge Badgers continues to make money and we'll do more the same next time hopefully we can specialize and open up our research and development stuff next time that'd be great."
"We're looking forward to cooking, baking, home projects, room makeovers, and just lots of fun content coming your way soon."
"Kevin Feige has acknowledged that they have phase 5's big event planned out already."
"It's been awesome working with you guys and we're really excited about what we have in store for this year and honestly all the stuff that we're working on down the road."
"It's just remarkable how much information related to Insomniac games and their future got out."
"When it's completed, the Shimizu Mega City pyramid will be the largest man-made structure on the planet."
"I got some exciting stuff coming in 2023, so definitely stay tuned!"
"All we can hope for is that the film does okay so that we can get the Justice League films and we can get that solo Batman film."
"Guys, what did you think? If you like what you see here, I might include some steam features in Engine Simulator 3D which I'm working on now."
"I hope we get a chance to do another one and I'm sure we will." - Ewan McGregor
"Thanks for listening everybody... lots more to come."
"We've got some really exciting things coming up."
"This new trilogy will wrap up with a potential Spider-Man 6 which I plan on making eventually if you guys have enough interest in this storyline."
"I'm excited going forward, we got stuff to look forward to."
"Will I be writing any more books? We'll see, I don't know."
"Phil did say he was gonna go meet all the studios and see what they want to do next."
"It gets you super interested for what he's going to do on 'Utopia.'"
"I hope you got some more deviations in store for us."
"This thing is pretty neat, I want to test out more solar panels in the future."
"There's so much more story to tell and I'm excited to do that one day."
"Executives have discussed launching Stargate as soon as 2028."
"I think we're in really good hands for future stuff."
"That's going to be it for this project. I will see you in the next one."
"I think everyone's cheering for them to come back and do the next big thing."
"From what I've heard on the subject, it is also rumored that Miles might appear in future Sony films."
"We've got just a ton of really awesome plans."
"A monorail themed attraction has been teased in the upcoming book 'The Disney Monorail: Imagineering a Highway in the Sky.'"
"This is not the end, this is just the beginning of the biggest work in the world that will be done very soon. Nothing to worry about."
"Building bigger things should be coming soon."
"We're at the beginning of something new here."
"We're going to be doing a lot more of these, so thank you thank you thank you."
"Yes I have actually talked to the the folks over there at Celsius and I'll probably do some videos about it because it looks pretty promising what they're doing so stay tuned."
"We hope more documentaries like this will be made in the future."
"Looking forward to making epic stuff in the future."
"I'm very excited to see what we're gonna get going forwards."
"Nintendo and Microsoft have had a great relationship lately, and we've had rumors of more collaborations to come."
"The future of Marvel Studios is truly exciting right now with over 20 projects coming either on film or to Disney Plus. There's no shortage of exciting projects coming."
"Building parks are nice. We should build an airport probably at some point too."
"We've got lots of big and exciting plans, ambitious cool ideas of stuff we want to do."
"I cannot wait to see how this car transforms even more, and then once this project's pretty much done, you guys are gonna love the next projects I have planned."
"...this really does open up the world of possibilities for future projects."
"I am ecstatic to see whatever Gareth Evans does next."
"Especially when we get to see in the future like Blade the Vampire Slayer, right? We need to see this guy actually killing off vampires and that has to be brutal. It has to be dude. It's Blade. I mean come on, it's freaking Blade."
"The involvement of the US government shows that politicians too are starting to see the importance of such projects for our future."
"They have a very close history, like, those inventors were into some stuff that you would be surprised at, you know? So, there's lots of future projects we have, lots of work cut out for us."
"Thank you guys for watching this series. We're on to much more exciting projects in the future. I think on this channel, I've got so much film that I can't wait to put it out. Peace."
"They're supposedly going to be investing in the Disney parks over the next 10 years we don't know any projects beyond 2025."
"For future projects, please subscribe to the channel and hit the notification bell."
"Next week we'll be working on a chair and some flowers."
"I'm super stoked about that. It's coming out, like I think maybe after Tony's, but yeah, it's in the pipe. I'm super stoked on that."
"I'm excited to get more work from him because I really enjoy him as a director."
"...hopefully, the kind of projects that we might run into down the road that can also come in handy for."
"He said he has a few things going but they don't start until next season."
"I'm excited for everything that we got going on. I just saw the samples of the good good collab with us that's coming out later this year. I saw the googan collab merch, bro. It's, it's [__] snapping finally, goddamn it."
"I've really enjoyed getting to know you over those last few months and I hope that we collaborate and do more things together."
"I cannot wait to see what new projects Terry has in store."
"Congratulations on the show. Looking forward to all of season two, Christmas special, and then season three at some point in the future. So congratulations and all that."
"I really can't wait to see what you do next."
"I'm pretty happy. We're going to create some beautiful stuff."
"I really did have fun with this, and I think it would be great if I made this again in the future."
"The creative spirit is restless, and there's so much I still want to do."
"Stay tuned, we've got a lot of cool things coming down the pipeline."
"If you're interested in sticking around and seeing what some of those projects might be, go ahead and subscribe."
"I'm really excited for what this next year has to come for content and projects."
"I really had fun making these, I kind of want to do some more."
"I look forward to everything you will be working on in the future."
"Thank you for joining us in this tutorial, and we wish you the best of luck with your future full-stack development projects."
"This is not our last album, we will continue to do this and hopefully you guys will continue to follow us."
"It's gonna make a wonderful video today and more wonderful videos going forward."
"We will be doing stuff together again very soon, which is extremely exciting."
"We have a lot coming up for the show."
"I'm excited for you guys to see different sides to me in the future."
"Good luck if you are tackling a stone project; I'll see you in my next one."
"There are only bigger, better, cooler, funner, more exciting artistic things coming."
"I'm very excited to get that and maybe see if I can start working on all of the lights at some point in the near future."
"Let me know in the comments if you've ever tried the modeling paste or what project you think I should try next."
"I'm excited for more of the spinning to do for this year."
"I would definitely like to do some more of these in the future."
"We will see you very soon; we've got lots of exciting things coming with Honda builds, more JDM legends, so stay tuned."
"We talked about the future of handheld gaming, Game Pass, and what game five will be."
"Thanks so much for watching. We are super excited to move on to our next project."
"Marvel Studios will probably start to introduce various mutants and X-Men characters throughout different projects in Phase 5 and phase six."
"I can't wait to see what else you do in the future."
"Postmates loved it, they want to do more."
"I look forward to growing in this hobby and in many other projects to come along with you in the future."
"I'm really excited for future projects."
"I'm actually going to be doing some dragons soon as well."
"I've got a lot of really, really cool things I'm really excited to do videos on in the future."
"I hope you have learned something here and that you can apply what you have learned to your future work and projects."
"Make it accessible for future projects, allows your organization to develop templates, allows your organization to make the good things on your project happen on future projects."
"I'm getting excited to see what they're going to have us do next."
"The majority of these characters will return in upcoming projects."
"I can't wait to apply some of them to my ceramics as I work forward in the future."
"I hope I showed some new techniques that will help you in future creating new projects."
"We're gonna keep on trying new things and see where it takes us down the road."
"We've learned how to use different classes and other properties which will eventually help us create big projects in the future."
"If it goes well, we will make more content together when lockdown has ended."
"They're wonderful actors. I can't wait to work with them again."
"There are a few more on their way, that's what I will say."
"We are getting a bright future for the Batman world, not only in sequels but also spin-off movies and more projects surrounding Batman's Rogues Gallery."
"I'm going to walk through what are future projects coming up and which ones I have fabric selected for."
"I thank you for watching, and I have a lot more naturalistic enclosure builds on the horizon."